Teachers’ Professional Needs in Social Dialogue: ETUCE regional seminar in Warsaw


Education trade unions should be involved in the design and implementation of the initial and continuous teacher training, concluded the participants of the first regional seminar of the ETUCE project “Education Trade Unions for the Teaching Profession. Strengthening the capacity of education trade unions to represent teachers’ professional needs in social dialogue”. The seminar took place in Warsaw, Poland, on 27-28 November 2017 and was organised with the support of ZNP, one of the Polish education trade unions, as a project partner.

Trade union representatives from Bosnia and Herzegovina, Bulgaria, Cyprus, Czech Republic, Estonia, FYROM, Hungary, Latvia, Lithuania, Montenegro, Poland, Romania, Serbia, and Slovakia had the opportunity to examine various teacher training systems in Central and Eastern Europe and assess how different education trade unions engage in the process of representing teachers’ professional needs in social dialogue.

Attached: calculated molecules =
<<<
ORCA calculation (ωB97M-V/def2-TZVPD) on one molecule with the formula C3H2N2O2 at a distorted geometry.

```
9
Properties=species:S:1:pos:R:3
O -3.10969 -0.80745 -0.02954
C -1.95911 -0.77625 -0.02812
N -0.80506 -1.12562 0.04240
C 0.52829 -0.73886 0.18050
C 1.17645 0.49788 -0.03418
N 0.86325 1.74214 -0.21918
O 0.10937 2.61077 0.22608
H 1.06350 -1.58379 0.08611
H 2.13301 0.18119 -0.22407
```

The SMILES is O=C=N/C=C\N=O. As for the spin multiplicity: 1. For the HOMO energy (spin up / spin down), the calculation gives -0.306 / -0.344 Eh. The energy above the lowest of the compared OMol25 structures with the same formula, charge and spin is 104.9 kcal/mol. The calculation puts the frontier orbital gap (spin up / spin down) at 7.47 / 8.00 eV.

ORCA calculation (ωB97M-V/def2-TZVPD) on one molecule with the formula C3H2N2O2 at a distorted geometry.

```
9
Properties=species:S:1:pos:R:3
O 2.18423 -0.69490 1.69709
C 1.52425 -0.38741 0.79227
C 0.94195 0.02608 -0.35631
N 0.01227 -0.85714 -1.00490
C -1.09254 -0.26671 -0.77694
N -0.98666 0.94821 -0.00200
O 0.37743 1.29195 -0.27086
H -2.07710 -0.63464 -1.04331
H -0.88384 0.57456 0.96496
```

The SMILES is O=C=C1N=CNO1. As for the spin multiplicity: 1. For the HOMO energy, the calculation gives -0.336 Eh. The energy above the lowest of the compared OMol25 structures with the same formula, charge and spin is 95.9 kcal/mol. The calculation puts the frontier orbital gap at 9.19 eV.

ORCA calculation (ωB97M-V/def2-TZVPD) on one molecule with the formula C3H2N2O2 at a distorted geometry.

```
9
Properties=species:S:1:pos:R:3
O 2.19245 0.03465 0.12018
C 0.98098 0.08570 -0.02907
N 0.24299 1.31109 -0.06371
C -1.05321 1.15245 -0.01727
C -1.66009 -0.12179 0.05068
N -1.01926 -1.23825 0.03209
O 0.34480 -1.15719 -0.13157
H -1.76293 1.99360 -0.06936
H -2.70720 -0.22134 0.35581
```

The SMILES is O=c1nccno1. As for the spin multiplicity: 1. For the HOMO energy, the calculation gives -0.395 Eh. The energy above the lowest of the compared OMol25 structures with the same formula, charge and spin is 49.9 kcal/mol. The calculation puts the frontier orbital gap at 9.37 eV.

----------

# 1
Below is C32H27ClMgN3O4Te as an isolated structure, with properties calculated with ωB97M-V/def2-TZVPD.

The calculation puts the highest occupied orbital energy at -4.125 eV. As for the HOMO-LUMO gap: 6.08 eV. The energy relative to the best compared isomer or geometry (same formula, charge and spin) comes out at 0.00 kJ/mol. Its total energy is -2629.3663 a.u. As for the largest force on an atom: 0.28 eV/A. The spin multiplicity is 1. As for the charge: -1.

Geometry (Å):
1 Mg 0.93 -2.17 0.33
2 Cl -1.93 -4.79 -5.95
3 C -0.98 -4.22 -4.60
4 C 0.32 -3.72 -4.82
5 C 1.08 -3.27 -3.78
6 C 0.60 -3.28 -2.44
7 O 1.32 -2.86 -1.48
8 C -0.72 -3.80 -2.24
9 C -1.28 -3.90 -0.93
10 O -0.77 -3.51 0.12
11 C -1.48 -4.27 -3.33
12 H 0.70 -3.70 -5.83
13 H 2.09 -2.90 -3.95
14 H -2.27 -4.39 -0.87
15 H -2.48 -4.66 -3.15
16 C -6.39 8.60 3.29
17 O -6.11 7.79 4.41
>>>
The calculated molecules stop here =

Presenting the project online survey conducted among ETUCE member organisations, Professor Howard Stevenson, University of Nottingham, reported that in many countries in the region, teachers have no influence on their professional development and, as a result, teacher training is often of a poor quality, not adequate, and not valued by the employer. In working groups participants solutions for strengthening the capacity of education trade unions in improving teacher training, including exchanging good practices among trade unions, raising awareness among trade union affiliates and leaders about the importance of continuous professional development, and working with media to raise the image of the teaching profession.

Seminar participants were also presented with the strategies of education trade unions in Scotland (Educational Institute of Scotland) and Finland (Trade Union of Education OAJ) on shaping teacher training. In order to get more inside views on teacher training in Poland, a visit to the University of Warsaw was organised where participants learned about a unique initial training programme for Math and Polish language teachers ‘School of Education’, that focuses on the co-teaching, team learning, and student-centered teaching approach.

Susan Flocken, European Director, closed the seminar stating: “Education trade unions need to engage in shaping the future of education. Teacher training adopted to teachers’ needs is a requirement for quality education and a key to the attractiveness of the teaching profession”.

The next regional seminars are going to take place in Berlin (March 2018) and in Rome (May 2018). The project final conference will be held in Brussels in September 2018.

+++
No. 1
ORCA calculation (ωB97M-V/def2-TZVPD) on a structure of composition C48H68N2O3P2PbSe.

```
125
Properties=species:S:1:pos:R:3:lowdin_charge:R:1
Pb -0.250 0.059 -0.528 1.2903
C -0.517 2.974 2.690 -0.0736
C 0.582 2.125 3.332 -0.3603
C 0.533 2.238 4.859 -0.0383
C 0.512 0.668 2.920 -0.2055
C 1.676 -0.048 2.658 -0.0198
C 1.655 -1.392 2.281 -0.1313
C 2.982 -2.139 2.165 -0.3437
C 3.608 -2.240 3.563 -0.0369
C 4.004 -1.523 1.210 -0.0551
C 0.406 -2.039 2.180 -0.1325
C -0.760 -1.381 2.588 -0.1569
C -0.695 -0.026 2.905 -0.0163
C -2.007 -2.195 2.907 -0.3595
C -3.334 -1.534 2.557 -0.0716
C -1.986 -2.522 4.407 -0.0257
C 0.326 -3.493 1.868 -0.2076
C 0.601 -4.375 2.916 -0.0275
C 0.593 -5.745 2.741 -0.0323
C 0.301 -6.265 1.490 -0.0409
C 0.004 -5.407 0.448 -0.1015
C 0.000 -4.013 0.605 -0.2704
P -0.454 -2.981 -0.860 1.1132
C -2.252 -3.446 -1.245 -0.6537
C -2.565 -3.166 -2.717 -0.0823
C -3.094 -2.516 -0.361 -0.1130
C -2.673 -4.881 -0.926 -0.0743
C 0.757 -3.518 -2.193 -0.6803
C 2.120 -3.120 -1.617 -0.1000
C 0.534 -2.699 -3.472 -0.1022
C 0.767 -5.006 -2.554 -0.0710
H -0.323 4.033 2.858 0.1007
H -1.495 2.753 3.126 0.0956
H -0.565 2.812 1.608 0.0232
H 1.547 2.520 2.996 0.1347
H -0.422 1.867 5.236 0.0890
H 0.641 3.277 5.171 0.0888
H 1.328 1.655 5.323 0.0888
H 2.632 0.454 2.776 0.1303
H 2.781 -3.151 1.816 0.1251
H 3.945 -1.259 3.906 0.0874
H 4.472 -2.904 3.546 0.0915
H 2.898 -2.620 4.297 0.0823
H 4.221 -0.480 1.456 0.0862
H 3.693 -1.607 0.168 0.0561
H 4.947 -2.065 1.284 0.1034
H -1.596 0.478 3.239 0.1237
H -1.940 -3.144 2.367 0.1184
H -3.552 -0.698 3.226 0.0883
H -4.145 -2.252 2.683 0.1010
H -3.359 -1.177 1.534 0.0417
H -1.998 -1.603 4.995 0.0909
H -1.098 -3.091 4.684 0.0720
H -2.863 -3.110 4.677 0.0934
H 0.840 -3.959 3.887 0.1184
H 0.815 -6.399 3.572 0.1193
H 0.293 -7.333 1.325 0.1186
H -0.236 -5.839 -0.513 0.0782
H -2.210 -2.188 -3.038 0.0531
H -3.649 -3.192 -2.848 0.0980
H -2.144 -3.930 -3.368 0.0803
H -2.836 -1.467 -0.507 0.0303
H -2.976 -2.764 0.697 0.0474
H -4.150 -2.633 -0.613 0.1101
H -2.180 -5.615 -1.564 0.0782
H -3.746 -4.961 -1.117 0.0996
H -2.505 -5.145 0.116 0.0812
H 2.190 -2.033 -1.503 0.0581
H 2.910 -3.429 -2.306 0.1048
H 2.309 -3.594 -0.653 0.0764
H 0.291 -1.653 -3.263 -0.0020
H -0.254 -3.111 -4.094 0.0753
H 1.455 -2.713 -4.058 0.0983
H 1.260 -5.611 -1.793 0.0791
H 1.329 -5.132 -3.481 0.0986
H -0.235 -5.400 -2.728 0.0751
O 2.344 0.654 -0.095 -0.2090
H 2.924 -0.106 0.058 0.0063
H 2.382 1.158 0.729 0.0325
O -2.259 1.755 0.617 -0.1507
H -2.299 2.628 0.188 0.0205
H -1.993 1.925 1.529 -0.0008
Se 0.699 1.081 -3.163 0.8619
N -3.484 0.575 -3.912 0.2096
C -3.107 0.514 -2.623 -0.6442
N -4.001 0.874 -1.688 0.2146
O -1.954 0.120 -2.333 -0.2821
H -4.407 0.847 -4.200 0.1208
H -2.819 0.297 -4.613 0.1245
H -4.935 1.159 -1.923 0.1251
H -3.729 0.860 -0.717 0.0834
C 3.265 6.859 0.472 -0.0583
C 3.721 5.551 0.560 -0.0659
C 2.924 4.514 0.104 -0.1049
C 1.669 4.771 -0.452 -0.3612
C 1.227 6.087 -0.550 -0.0814
C 2.024 7.125 -0.089 -0.0565
P 0.729 3.293 -0.969 1.0323
+++

See pictures of the training here.